Overcome Fear of Confrontation
8 bulletproof ways to help confrontations work for you and the person you're dealing with

She was intimidating - twenty years older than my 23 summers - but I had to confront her. I was her manager and her bullying of another female member of staff had to stop. Known for having her finger firmly attached to the workplace 'emotional temperature dial', she was apt to scream and shout, but also cunningly find and push any emotional buttons unwittingly presented to her. At least one colleague had been made tearful by this woman in the last week alone. I thought I had no particular fear of confrontation, but with her I wasn't so sure. So there we were.
She looked at me scornfully as if to say: "I may have to be here, but I don't have to listen. Careful what you say, Mister!"
I hated confronting her. Feeling like Gary Cooper in High Noon minus the glamour, heroism, or glory, I'd been rehearsing what I was going to say all morning. I've always felt that undue emotion should be kept out of the workplace, just as we should refrain from pouring cement mix into a car fuel tank if we're actually trying to get somewhere.
"What's all this about then?" The growl was foreboding, like a warning rumble from a stumbled upon grizzly.
But having determined to stay calm, I surprised myself by suddenly feeling angry. Why the #@£! should I worry about upsetting her when she'd been bullying, manipulating, and caring not a jot how others felt?
"What it's about," I snarled, holding her petulant gaze, "is a grown woman acting like a kindergarten bully, throwing her weight around" - (she later tried to claim I'd been discriminatory because she was obese) - "being rude, lying, threatening, making personal comments to other members of staff. It's bullying and it's GOT TO STOP!"
The adult part of me was talking to the (extremely well-maintained) child in her. Stunned silence, dropped jaw (mine too), tears (not mine). There is an in-built mechanism within non-psychopathic males which has them immediately crumple into desperate capitulation the moment a woman starts to cry. To my shame, I backpedalled a little, tried to focus on her good points (even created a few that had never been evident) - all because the waterworks had switched on.
But she'd wrong-footed me, softened me up - and now she leapt back with a vengeance. She screamed, ranted, and raved. Millions of years of human evolution rolled back in a blink of an eye. When the toys were well and truly ejected from the pram, she flounced from the room. She wasn't the sort to generously give away the last word: "No one ever, EVER speaks to me like that!"
The dangers of unchecked high self-esteem, I mused as the door slammed.
Upshot? She did actually bully less, especially if I was around, and she never actually crossed me again. I could have handled it better, but it's hard to appeal to a better nature when it's so meticulously hidden. Most people you'll need to confront will be more reasonable; they may even be good friends to whom something just needs to be said. What is it about confrontation that can make us so uneasy?
Why do people fear confrontation?
Fear of confrontation prevents some folk from being straight and fighting their corner. A chronic fear of 'upsetting the applecart' may stem from a childhood spent trying to appease a fractious parent or from having lived in a family in which any disagreement felt like a huge deal. Undue fear of confrontation may stem from a fear of rejection. Wanting to 'be nice' all the time (regardless of how the other person behaves) is a fast-track route to repressed bitterness, and sends clear messages to the insensitive that "I can be treated poorly".
Don't assume
Always wanting to be 'nice' can backfire. If it does leak out that you're unhappy about something but you'd never mentioned it, you just seem two-faced. Or you might find that constantly bottling up what upsets you leads to an emotional explosion in which you do and say stuff out of proportion to the original problem, then end up feeling guilty.
Of course, some folk are addicted to the buzz of confrontation and this causes other types of problems. So, with this in mind, let's look at the first rule of good confrontation practice.
1) Decide whether confrontation is needed
Being good at handling confrontation doesn't mean needlessly shouting people out or creating problems where they didn't really exist. It's more to do with being clear in your own mind where the cut-off point lies before you say something. We can and should cut others some slack. Make your own rules, and then respect yourself enough to stick to them.
For example: "Okay, my neighbours have played loud music till late twice this week. They don't usually; I'll just see if they do it again before the weekend and if they do, then I'm going to talk to them!" It's up to you how many 'chances' you give somebody. Being clear in your own mind makes it easier to be clear with others when they cross that line.
2) Set some proper time aside
"Can we have a chat this morning, please? What time is good for us?" Treat it as non-emotional business. You don't need to wade in immediately unless they absolutely refuse to 'book a time with you'. If they ask: "What's it about?", you could say: "Okay, well, I was going to talk later, but since you ask: it's about..." If they feel intimidated by you setting a time, that's not necessarily a bad thing. There's nothing wrong with a bit of time for self-reflection (1).
3) Stick absolutely, completely, and utterly to the facts
Stick to facts to avoid messiness: "I've noticed you have been playing your music loudly until 1am." This is very different from knocking on the door and shouting: "What do you think you're doing? Who do you think you are? Where do you get off?"
What?! None of that stuff actually means anything. Yes, I know it means you're angry, but when you're confronting someone, they need to know immediately why you might be angry. Confrontation needs utter clarity.
(These crystal structures were left in the text by mistake)
-- begin --
VASP calculation (PBE) on a relaxed ReHCl6 crystal.

Computed properties:
The calculation puts the magnetization at 2.0 μB per formula unit. The total energy is -31.2 eV per cell. Its calculated density is 2.99 g/cm³.

```
data_ReHCl6
_chemical_formula_sum 'Re1 H1 Cl6'
_cell_length_a 6.879
_cell_length_b 6.520
_cell_length_c 9.471
_cell_angle_alpha 49.84
_cell_angle_beta 43.75
_cell_angle_gamma 67.34
_symmetry_space_group_name_H-M 'P 1'
_symmetry_Int_Tables_number 1
_symmetry_space_group_name_Hall 'P 1'
loop_
_atom_site_label
_atom_site_type_symbol
_atom_site_fract_x
_atom_site_fract_y
_atom_site_fract_z
Re1 Re 0.000 0.000 0.000
H1 H 0.500 0.500 0.500
Cl1 Cl 0.196 0.450 0.615
Cl2 Cl 0.850 0.885 0.905
Cl3 Cl 0.577 0.151 0.200
Cl4 Cl 0.150 0.115 0.095
Cl5 Cl 0.804 0.550 0.385
Cl6 Cl 0.423 0.849 0.800
```

VASP calculation (PBE) on a relaxed Nd2TeP crystal.

Computed properties:
The calculation puts the magnetization at 0.0 μB per formula unit. The total energy is -24.4 eV per cell. The formation energy (no corrections) is -1.5749 eV/atom. For the energy above the most stable polymorph in this dataset, the calculation gives 0 meV/atom. Its calculated density is 6.45 g/cm³.

```
data_Nd2TeP
_chemical_formula_sum 'Nd2 Te1 P1'
_cell_length_a 4.259
_cell_length_b 4.259
_cell_length_c 7.732
_cell_angle_alpha 90.02
_cell_angle_beta 105.97
_cell_angle_gamma 120.00
_symmetry_space_group_name_H-M 'P 1'
_symmetry_Int_Tables_number 1
_symmetry_space_group_name_Hall 'P 1'
loop_
_atom_site_label
_atom_site_type_symbol
_atom_site_fract_x
_atom_site_fract_y
_atom_site_fract_z
Nd1 Nd 0.525 0.262 0.787
Nd2 Nd 0.475 0.738 0.213
Te1 Te 0.000 0.500 0.500
P1 P 0.000 0.000 0.000
```

VASP calculation (PBE) on a relaxed NiAgCl2 crystal.

Computed properties:
The calculation puts the magnetization at 1.0 μB per formula unit. The total energy is -26.3 eV per cell. The formation energy (no corrections) is -0.2089 eV/atom. For the energy above the most stable polymorph in this dataset, the calculation gives 80 meV/atom. Its calculated density is 4.34 g/cm³.

```
data_NiAgCl2
_chemical_formula_sum 'Ni2 Ag2 Cl4'
_cell_length_a 5.783
_cell_length_b 5.783
_cell_length_c 6.800
_cell_angle_alpha 64.84
_cell_angle_beta 64.84
_cell_angle_gamma 90.00
_symmetry_space_group_name_H-M 'P 1'
_symmetry_Int_Tables_number 1
_symmetry_space_group_name_Hall 'P 1'
loop_
_atom_site_label
_atom_site_type_symbol
_atom_site_fract_x
_atom_site_fract_y
_atom_site_fract_z
Ni1 Ni 0.500 0.500 0.000
Ni2 Ni 0.250 0.750 0.500
Ag1 Ag 0.000 0.000 0.000
Ag2 Ag 0.750 0.250 0.500
Cl1 Cl 0.572 0.125 0.250
Cl2 Cl 0.178 0.625 0.250
Cl3 Cl 0.375 0.428 0.750
Cl4 Cl 0.875 0.822 0.750
```

VASP calculation (PBE) on a relaxed CsP2Ru2 crystal.

Computed properties:
The calculation puts the magnetization at 0.0 μB per formula unit. The value obtained for the formation energy from the elements is -0.632 eV per atom. The total energy is -33.4 eV per cell. Its calculated density is 5.66 g/cm³.

```
data_CsP2Ru2
-- stop --
4) Leave the insults in the playground
When I likened that woman to a "kindergarten bully", it felt satisfying. But it also gave her ammunition. She could sling my 'insults' back at me (especially as I was working within a professional capacity).
Like sticking to facts, binning the insults means you don't get sidetracked. Sure you're angry they've been thoughtless, but now they are 'allowed' to be angry because you've just insulted them. Now that becomes the issue diverting focus from what you wanted to discuss.
Cursing and insulting might discharge your frustrations in the short-term, but not as much as actually getting them to change their ways will do in the long-term.
5) The all-important "I" statement
## Crystal structures, as found in the file
____________
(1)
Entry from Alexandria: a relaxed structure of Mn7CrP12O48 (GGA-PBEsol).

```
data_Mn7CrP12O48
_chemical_formula_sum 'Mn7 Cr1 P12 O48'
_symmetry_space_group_name_H-M 'P 1'
_symmetry_Int_Tables_number 1
_symmetry_space_group_name_Hall 'P 1'
_cell_length_a 8.359
_cell_length_b 8.104
_cell_length_c 11.357
_cell_angle_alpha 90.71
_cell_angle_beta 89.82
_cell_angle_gamma 89.99
loop_
_atom_site_label
_atom_site_type_symbol
_atom_site_fract_x
_atom_site_fract_y
_atom_site_fract_z
O1 O 0.665 0.184 0.439
O2 O 0.128 0.568 0.941
O3 O 0.833 0.687 0.943
O4 O 0.923 0.926 0.817
O5 O 0.071 0.268 0.457
O6 O 0.872 0.432 0.062
Mn1 Mn 0.468 0.252 0.378
O7 O 0.422 0.366 0.517
Mn2 Mn 0.533 0.256 0.885
O8 O 0.423 0.574 0.676
O9 O 0.080 0.867 0.018
P1 P 0.751 0.533 0.992
O10 O 0.321 0.569 0.114
O11 O 0.497 0.131 0.243
O12 O 0.577 0.427 0.315
O13 O 0.996 0.366 0.257
O14 O 0.427 0.770 0.957
O15 O 0.132 0.903 0.417
P2 P 0.380 0.391 0.646
O16 O 0.482 0.279 0.723
Mn3 Mn 0.030 0.752 0.883
Mn4 Mn 0.971 0.753 0.385
O17 O 0.976 0.226 0.775
Mn5 Mn 0.030 0.246 0.616
Mn6 Mn 0.969 0.248 0.120
Mn7 Mn 0.468 0.746 0.116
O18 O 0.784 0.159 0.184
O19 O 0.302 0.880 0.166
P3 P 0.250 0.467 0.010
O20 O 0.870 0.094 0.583
O21 O 0.610 0.928 0.100
P4 P 0.119 0.894 0.149
O22 O 0.566 0.640 0.480
O23 O 0.374 0.068 0.441
P5 P 0.889 0.611 0.642
O24 O 0.198 0.381 0.666
O25 O 0.338 0.824 0.566
O26 O 0.698 0.118 0.836
O27 O 0.937 0.734 0.546
O28 O 0.502 0.857 0.757
Cr1 Cr 0.531 0.749 0.620
P6 P 0.619 0.605 0.351
O29 O 0.924 0.135 0.981
P7 P 0.116 0.389 0.357
P8 P 0.881 0.105 0.852
O30 O 0.824 0.931 0.388
O31 O 0.019 0.774 0.224
P9 P 0.249 0.971 0.509
O32 O 0.175 0.068 0.613
O33 O 0.389 0.073 0.893
O34 O 0.283 0.337 0.313
O35 O 0.374 0.408 0.919
O36 O 0.625 0.592 0.081
P10 P 0.751 0.035 0.489
O37 O 0.078 0.074 0.184
P11 P 0.380 0.890 0.859
O38 O 0.216 0.838 0.813
P12 P 0.616 0.109 0.141
O39 O 0.112 0.571 0.398
O40 O 0.632 0.926 0.561
O41 O 0.889 0.430 0.600
O42 O 0.680 0.433 0.886
O43 O 0.998 0.629 0.748
O44 O 0.571 0.231 0.043
O45 O 0.166 0.315 0.061
O46 O 0.802 0.617 0.344
O47 O 0.715 0.661 0.677
O48 O 0.526 0.728 0.275
```

Calculated values
Its space group is P1. As for the total magnetization: 19.0 Bohr magnetons per cell. The uncorrected energy comes out at -7.761 eV/atom. The calculation puts the formation energy (no corrections) at -1879 meV/atom.

***

(2)
Entry from Alexandria: a relaxed structure of MnCr3P4O16 (GGA-PBEsol).

```
data_MnCr3P4O16
_chemical_formula_sum 'Mn1 Cr3 P4 O16'
_symmetry_space_group_name_H-M 'P 1'
_symmetry_Int_Tables_number 1
_symmetry_space_group_name_Hall 'P 1'
_cell_length_a 4.704
_cell_length_b 5.670
_cell_length_c 9.727
_cell_angle_alpha 90.00
_cell_angle_beta 90.84
_cell_angle_gamma 90.00
loop_
_atom_site_label
_atom_site_type_symbol
_atom_site_fract_x
_atom_site_fract_y
_atom_site_fract_z
P1 P 0.893 0.500 0.410
Cr1 Cr 0.046 0.500 0.731
O1 O 0.764 0.290 0.832
O2 O 0.258 0.790 0.668
P2 P 0.100 0.000 0.591
O3 O 0.828 0.500 0.562
O4 O 0.291 0.500 0.888
____________
## The article goes on
Want to know how to make someone defensive? Start a sentence with the word "you". "You never...!" or "You always..." The word "you" actually stops people listening because all their focus now becomes directed at defending themselves.
But "I" statements will give them less to challenge: "I've noticed that you..." is a gentler start up and is unarguable. They can argue with "You...", but not with "I..."; if you tell someone you feel let down, they can't actually argue with how you feel (even if they think you shouldn't feel like that).
- "I want to talk..."
- "I've been noticing that..."
- "I have been hearing loud noise coming from your room in the wee small hours..."
6) Be sure to communicate why it's a problem
**Someone pasted records of crystals at this point:**
____________
# AcDy6Ho

AcDy6Ho after structural relaxation (PBE, Alexandria via LeMat-Bulk).

## Properties
electronic total energy = -4.3188 eV per atom
size of the total moment = 0.00 μB per atom
DOS(E_F) = 13.0 states/eV/cell
formation energy = 0.219 eV/atom

Cell lengths 6.726, 6.770, 6.817 Å; angles 60.56, 82.85, 83.97 degrees
Space group P-1 (No. 2)
Inequivalent atoms, fractional coordinates:
Ac 0.000 0.000 0.000 [1 per cell]
Dy 0.260 0.951 0.480 [2 per cell]
Dy 0.262 0.478 0.958 [2 per cell]
Dy 0.278 0.451 0.456 [2 per cell]
Ho 0.500 0.000 0.000 [1 per cell]

* * * * *

# 1
DFT (GGA-PBE) results for an optimized crystal structure of HfZrIr4.

Results
The formation energy comes out at -65.5 kJ per mole of atoms. As for the symmetry: F-43m (216).

Cell and atoms, written as extended XYZ:
```
6
Lattice="0.0000 3.7062 3.7062 3.7062 0.0000 3.7062 3.7062 3.7062 0.0000" Properties=species:S:1:pos:R:3 pbc="T T T"
Hf 0.0000 0.0000 0.0000
Zr 5.5592 5.5592 5.5592
Ir 2.7784 2.7784 2.7784
Ir 4.6339 4.6339 2.7784
Ir 4.6339 2.7784 4.6339
Ir 2.7784 4.6339 4.6339
```


# 2
DFT (GGA-PBE) results for an optimized crystal structure of BeTe2O.

Results
The energy above the lowest structure with this stoichiometry is 0.106 eV/atom. As for the symmetry: I-42d (122). The calculation puts the formation energy (no corrections) at 0.06 eV per atom.

Cell and atoms, written as extended XYZ:
```
8
Lattice="-2.6075 2.6075 6.3247 2.6075 -2.6075 6.3247 2.6075 2.6075 -6.3247" Properties=species:S:1:pos:R:3 pbc="T T T"
Be 0.0000 0.0000 0.0000
Be 0.0000 2.6075 3.1624
Te 1.3038 -1.1899 4.7435
Te 1.4176 1.3038 1.5812
Te 1.3038 3.7975 -1.5812
Te 1.1899 1.3038 7.9059
O 2.6075 0.0000 3.1624
O 0.0000 0.0000 6.3247
```


# 3
DFT (GGA-PBE) results for an optimized crystal structure of PrEr14Tm.

Results
The formation energy comes out at 0.8 kJ per mole of atoms. As for the symmetry: Amm2 (38).

Cell and atoms, written as extended XYZ:
```
16
Lattice="11.3623 0.0000 0.0000 0.0000 3.5362 6.1235 0.0000 -3.5362 6.1235" Properties=species:S:1:pos:R:3 pbc="T T T"
Pr 0.0000 0.0000 0.0000
Er 0.0000 1.7685 9.1841
Er 0.0000 -1.7685 9.1841
Er 2.8384 0.0000 8.1639
Er 2.8661 -1.7631 5.1005
Er 2.8661 1.7631 5.1005
Er 2.8692 0.0000 2.0463
Er 5.6812 0.0000 4.0830
Er 5.6812 -1.7658 7.1452
Er 5.6812 1.7658 7.1452
Er 5.6812 0.0000 10.2036
Er 8.4932 0.0000 2.0463
Er 8.4963 -1.7631 5.1005
Er 8.4963 1.7631 5.1005
Er 8.5239 0.0000 8.1639
Tm 0.0000 0.0000 6.1230
```


# 4
DFT (GGA-PBE) results for an optimized crystal structure of AcPd2Au4.

Results
The formation energy comes out at -3.2 kJ per mole of atoms. The energy above the lowest structure with this stoichiometry is 0.483 eV/atom. As for the symmetry: I4/mmm (139).

Cell and atoms, written as extended XYZ:
```
7
Lattice="-4.1850 4.1850 2.7082 4.1850 -4.1850 2.7082 4.1850 4.1850 -2.7082" Properties=species:S:1:pos:R:3 pbc="T T T"
Ac 0.0000 0.0000 0.0000
Pd 4.1850 0.0000 1.3541
Pd 0.0000 4.1850 1.3541
Au 4.1850 2.2705 0.0000
Au 2.2705 4.1850 0.0000
____________
**End of the records of crystals:**
Once they know what the problem is (because you've stuck to the facts and started with "I" statements to keep them listening), don't assume they'll know why this is a problem for you. Tell them. Never, ever expect someone to be a mind reader. Some people feel that they shouldn't have to ask people to behave reasonably; because people should 'just know'.
But automatically assuming other people have your standards and values is a mistake: "Any decent person wouldn't do that..." So tell them to be decent! Make yourself clear.
- "The reason that loud music at 1am is a problem for me is that I have to rise at 7am to get the kids ready for school."
- "The reason that shouting at other staff members in front of clients is problematic is that it makes us all appear unprofessional and may lose us business." (And if they can't see why that's a problem, recommend they take a year-long sabbatical to some place far away.)
- "The reason never doing your own washing up is a problem is that it creates resentment in the house."
7) Tell them what change you expect and tell them the benefit (threats are a very last resort)
If you were dealing with an ultra-considerate and sensitive person, then you could be much more subtle but, again, spell out what changes you want to see, and tell them why these changes will benefit you both:
"Okay, in future can we please agree that if you have something to say to another staff member, you will talk to them in the office where clients can't hear and refrain from shouting?"
Seek agreement (if possible, in front of another 'witness'). If you need to confront them again, remind them of their agreement (this is where the witness may be useful). If they refuse to agree, only then resort to threats such as: "Okay, well it's a shame, but I'll obviously have to inform the police about this late night noise." If at all possible, though, avoid threats until all other recourses have been exhausted.
8) Above all, keep calm
Losing it lets them know that you are mad at them, but may confuse them as to:
- Exactly why you are mad at them.
- What you want them to do differently.
If you've lost your cool with someone, they may (not completely unreasonably) refuse to have any discussion with you in future. They may even feel the fact you became so aggressive is a worse misdemeanour than what you'd been angry with them about. But how do you stay calm?
The best way to keep calm is to rehearse not just what you're going to say, but also how you're going to feel. The best way to do this is through positive mental rehearsal or self-hypnosis. Fear of confrontation almost always arises from the expectation of an angry encounter.
Before you see them, close your eyes, slow your breathing, and just imagine yourself confronting them. See yourself looking so calm, being so clear, firm but fair; one clear message.
All those years ago when I confronted my colleague, I lost my cool and handed her enough 'counter-accusation' material - such as, "he was aggressive, insulting" - to (almost) ruin my own case. Handling conflict effectively is a key life skill.
10 Steps to Absolute Assertiveness course
If a lack of assertiveness is keeping you awake at night, help is at hand. You can escape the anger, depression and anxiety it causes with the skills to stand up for yourself, comfortably and calmly...
- If you feel that the person you need to confront may become violent, then don't approach them alone and consider seeking legal redress.